Health effects of the Chernobyl accident

April 26, 2006, was the 20th anniversary of the Chernobyl accident (Health effects of the Chernobyl accident) , the second major single exposure to radiation of a substantial population. The accident produced a significant international response whose effectiveness is the subject of debate. It is relevant to the current view of the consequences of Chernobyl to reflect on the understanding in 1965 of the health consequences of the first major event, radiation from the atomic bombs in Hiroshima and Nagasaki, Japan, in 1945. The only significant consequences observed in survivors 20 years after the atomic bombs were increases in leukemia and thyroid cancer, and the general view of the future was reassuring. In 1974, a significant increase in solid cancers was detected, and nearly 50 years after the event, an unexpected increase was found in non-cancer diseases. Today, leukemia and thyroid cancer form only a small fraction of the accepted total radiation-related health detriment.
• Inserted here: materials data:
=====
Structure and simulated X-ray powder pattern of HoCo4Au3O12 (a crystal structure in OQMD, relaxed with GGA+U; Cu Kα, 1.54184 Å).
Neutral-atom scattering factors, no anomalous dispersion.

The 6 most intense peaks (10 to 80 degrees two-theta), most intense first:
Position (°2θ)	d_spacing	intensity	(hkl)
34.13	2.627	1000	2 2 0
61.11	1.517	439	4 2 2
23.95	3.715	298	2 0 0
49.05	1.857	235	4 0 0
42.13	2.145	157	2 2 2
55.30	1.661	137	4 2 0

Structure:
a = 7.4296 Å, b = 7.4296 Å, c = 7.4296 Å
α = 90.00°, β = 90.00°, γ = 90.00°
Space group Im-3 (No. 204)
One atom of each set of equivalent atoms:
Ho 0.0000 0.0000 0.0000
Co 0.2500 0.2500 0.2500
Au 0.0000 0.0000 0.5000
O 0.0000 0.1763 0.2915

~~~~~

Starting from a PBE+U-relaxed structure, the powder X-ray diffraction pattern of PuMgMoO6 was simulated for copper Kα.
No peak broadening, texture or thermal motion is included.

Main lines, most intense first (2θ from 10° to 80°):
(hkl), Position (°2θ), I/Imax
1 1 2, 38.86, 100
1 0 2, 27.43, 94
0 0 2, 19.61, 94
1 1 4, 52.79, 80
1 1 0, 33.21, 74
1 0 0, 18.99, 63
1 0 1, 21.40, 54
3 0 0, 59.33, 28
2 0 2, 43.59, 27
0 0 4, 39.83, 26
2 1 2, 55.87, 26
3 0 2, 63.12, 24

Atomic structure:
```
data_PuMgMoO6
_space_group_name_H-M_alt 'P -3 1 c'
_space_group_IT_number 163
_space_group_name_Hall '-P 3 2c'
_cell_length_a 5.3960
_cell_length_b 5.3960
_cell_length_c 9.0559
_cell_angle_alpha 90.00
_cell_angle_beta 90.00
_cell_angle_gamma 120.00
loop_
_atom_site_label
_atom_site_type_symbol
_atom_site_fract_x
_atom_site_fract_y
_atom_site_fract_z
Pu1 Pu 0.3333 0.6667 0.2500
Mg1 Mg 0.0000 0.0000 0.0000
Mo1 Mo 0.3333 0.6667 0.7500
O1 O 0.0224 0.3549 0.6313
```

~~~~~

[1]
This entry pairs a crystal structure of SrMgGa2Ag with its theoretical XRD peak list. Radiation: Cu Kα (weighted mean of Kα1 and Kα2). Structure: a GGA-PBE-relaxed structure.
Intensities are scaled so that the largest is 100.

Structure:
```
data_SrMgGa2Ag
_chemical_formula_sum 'Sr2 Mg2 Ga4 Ag2'
_cell_length_a 4.362
_cell_length_b 4.474
_cell_length_c 11.828
_cell_angle_alpha 90.00
_cell_angle_beta 90.00
_cell_angle_gamma 90.00
_space_group_name_H-M_alt 'I m m 2'
_space_group_IT_number 44
loop_
_space_group_symop_operation_xyz
'x,y,z'
'-x,-y,z'
'-x,y,z'
'x,-y,z'
'x+1/2,y+1/2,z+1/2'
'-x+1/2,-y+1/2,z+1/2'
'-x+1/2,y+1/2,z+1/2'
'x+1/2,-y+1/2,z+1/2'
loop_
_atom_site_label
_atom_site_fract_x
_atom_site_fract_y
_atom_site_fract_z
Sr1 0.000 0.000 0.000
Mg1 0.000 0.500 0.745
Ga1 0.000 0.000 0.610
Ga2 0.000 0.500 0.245
Ag1 0.000 0.000 0.386
```

Top 10 peaks for 2θ from 10° to 90°, in order of rising 2θ:
| hkl | 2θ (°) | I (rel.) |
| --- | --- | --- |
| 1 1 0 | 28.58 | 43 |
| 0 1 3 | 30.21 | 52 |
| 1 0 3 | 30.56 | 39 |
| 1 1 2 | 32.42 | 100 |
| 0 2 0 | 40.32 | 39 |
| 2 0 0 | 41.40 | 36 |
| 1 1 4 | 42.08 | 34 |
| 0 1 5 | 43.26 | 31 |
| 1 0 5 | 43.52 | 32 |
| 2 2 0 | 59.16 | 24 |



[2]
=====
• The page goes on:
In 1990, four years after the Chernobyl accident, an increase in thyroid cancer was found in children exposed to fallout from the accident. Two years later, the first reports in the Western literature of an increase in childhood thyroid cancer (CTC) in Belarus were published. In 2000, about 2,000 cases of thyroid cancer had been reported in those exposed as children in the former Soviet Socialist Union, and in 2005, the number was estimated at 4,000; the latest estimate for the year 2056 ranges from 3,400 to 72,000. The effects are not limited by national borders; Poland has recorded cases in spite of a rapid precautionary distribution of stable iodine. The causative agent,131I, was detected in many European countries with as yet unknown effects. Interestingly, a significant increase in leukemia has not been reliably reported in the three most affected countries.
This dramatic contrast between the two incidents is in part due to the different types of radiation exposure, but both show that the effects of massive exposures to radiation are immensely complex. In comparing the health effects after Chernobyl with those after the atomic bombs, it must be remembered that apart from workers in or close to the power plant (Nuclear power reactor), the Chernobyl accident involved mainly exposure to radioactive isotopes, and the atomic bombs primarily involved direct exposure to gamma rays and neutrons. Because of the prominence given to thyroid carcinoma after Chernobyl, less attention has been given to whole-body exposure from the ingestion and inhalation of all isotopes, together with the shine from the radioactive cloud and deposited radioactivity. Consideration of the health effects of Chernobyl must take into account both tissue-specific doses due to isotope concentration and whole-body doses.
The most prominent tissue-specific dose is that to the thyroid, largely from 131I, with a smaller contribution from short-lived isotopes of iodine. For many in the 30-km zone (135,000), there were relatively high absorbed doses to other organs as well as the thyroid until evacuation, and for those living in the contaminated areas around the 30-km zone (5 million), relatively high dose rate exposure (days to weeks) was followed by prolonged (years) exposure to a low dose rate. This exposure was a complex mixture of external radiation and internal emitters. For others living farther from the accident, in Western Europe, for example, their average exposure was equivalent to an additional ≤ 50% of average annual natural background level of radiation. About 600,000 liquidators assisted with the cleanup. Those working at the site shortly after the accident (200,000) received substantial doses. For all of these groups, estimates of numbers of fatal cancers can be derived from the collective doses. However, such estimates depend on the assumed risk coefficient, but of the order of 60,000 such fatalities in total can be estimated, based on the collective dose estimated by the United Nations Scientific Committee on the Effects of Atomic Radiation (UNSCEAR), less than half of which would derive from the declared contaminated areas. A more recent estimate of the numbers of fatal cancers based on a collective dose of less than half the UNSCEAR estimate gives a central value of 16,000 (95% confidence interval, 7,000–38,000).
Firmly established health consequences
Thyroid carcinoma
By far, the most prominent health consequence of the accident is the increase in thyroid cancer among those exposed as children. The medical authorities in Belarus and Ukraine were aware in 1990 that the incidence of the rare (typically about 1/106children/year) CTC was increasing, particularly in children living close to the reactor. Initially, various non-Chernobyl-related causes were suggested for the increase in thyroid carcinoma. In terms of radiation dose, the most likely culprit was 131I, a copious product of nuclear fission with an 8.1-day half-life. 131I is rapidly taken up by the thyroid but was widely regarded as carrying little risk of thyroid neoplasia. Swedish epidemiologic studies of the widespread use of 131I in diagnosis and treatment of thyroid disease found no significant risk of thyroid cancer. Other [[isotope]s] of iodine and tellurium-132 were also released in very large amounts, but because of their much shorter half-lives, their most significant contribution to the thyroid dose occurred only in those living near the reactor.
The first reports of the increase in Belarus were received with skepticism by the scientific community, but the risks were shown to be real. Analysis of thyroid carcinogenesis after X-ray exposure also showed clearly that the younger the subject at exposure, the higher the risk. The almost complete lack of children in the Swedish studies thus accounted for the apparent lack of a carcinogenic risk from 131I. It has since become increasingly clear that 131I is as carcinogenic in children as X rays. The child’s thyroid is one of the most sensitive human tissues to cancer induction by radiation. Because iodine is a volatile element, its release from fractured fuel rods is inevitable.
Much has been made of the fact that differentiated thyroid cancer is an eminently curable disease. Only a very small number of deaths from Chernobyl-related thyroid carcinoma have occurred so far. However, the preferred treatment regime, total thyroidectomy followed by 131I treatment to destroy metastases, is not always fully effective. Death from papillary carcinoma of the thyroid is rare, usually of the order of 5–10%. Because of the slow growth of the tumor, it is premature to assume that the even lower death rate for current Chernobyl-related cases will be maintained, particularly for cases yet to occur. An older age at onset can be associated with a less favorable prognosis. Currently, those exposed as small children are now adolescents or young adults but continue to carry an increased risk of developing thyroid carcinoma. The incidence of thyroid cancer in those who were adults at the time of exposure is reported to have increased in the many exposed populations, although the relationship to radiation is not clear. Screening has become more sophisticated, and increased ascertainment may be a major factor. The concentration of effort on the major increase in those exposed as children has meant that the possible much smaller risk to adults has not been adequately investigated.Acute radiation sickness
A small group of liquidators and plant workers received very high whole-body doses. Among these, about 150 individuals were treated for acute radiation sickness; 28 of these died within a relatively short time. Approximately 20 more have since died from probable radiation-related diseases.
Psychological consequences
Psychological effects are of considerable importance. They arise from an understandable fear of exposure to an unknown amount of an intangible but potentially dangerous agent, fear for exposed children, mistrust of reassurances from the authorities, and for hundreds of thousands of people, the consequences of forced evacuation from home and land. For some, the stress from these experiences has precipitated psychological illness; for others, an increased consumption of alcohol and cigarettes; and for still others, dietary changes to avoid perceived contamination. Some deaths from suicide, cirrhosis, or lung cancer could be regarded as indirect consequences of the accident and the subsequent measures taken. Whatever the view the nuclear industry may have about the irrationality of these consequences, they are real and have an important impact on public health, and so deserve greater attention.
Unrelated to this article: records of crystals =
____________
# Li4MnCo2O7
Calculated powder X-ray diffraction pattern, Cu Kα (weighted mean of Kα1 and Kα2). Input: a DFT-relaxed cell (GGA+U, Alexandria).

Crystal structure
```
Li4MnCo2O7
1.0
5.046 0.000 0.000
-1.732 5.584 0.000
-0.771 -0.450 8.613
Li Mn Co O
8 2 4 14
Direct
0.000 0.000 0.000
0.008 0.479 0.001
0.142 0.278 0.286
0.302 0.553 0.589
0.438 0.837 0.871
0.595 0.139 0.137
0.728 0.413 0.439
0.879 0.690 0.736
0.584 0.621 0.148
0.731 0.920 0.443
0.156 0.769 0.283
0.302 0.060 0.586
0.441 0.343 0.868
0.872 0.202 0.726
0.018 0.767 0.501
0.157 0.495 0.793
0.158 0.049 0.785
0.313 0.801 0.096
0.322 0.326 0.078
0.449 0.076 0.387
0.457 0.612 0.363
0.582 0.351 0.665
0.610 0.889 0.645
0.703 0.649 0.948
0.715 0.172 0.920
0.855 0.935 0.231
0.856 0.469 0.224
0.992 0.221 0.513
```

Main lines, sorted by position (2θ from 10° to 90°):
(hkl)  2θ (°)  I (rel.)
0 1 -1  18.5  100
2 -1 0  36.1  13
1 1 2  36.6  24
2 -2 1  43.6  27
1 2 1  44.3  51
-1 3 1  48.2  8
1 1 -5  58.4  9
1 -4 0  63.7  7
3 0 2  64.1  7
-3 2 3  64.3  7

~~~~~

(1)
This entry pairs a crystal structure of Cl with its computed X-ray diffraction stick pattern. Radiation: CuKα. Structure: the PBE geometry in Alexandria.

The 8 most intense peaks (10 to 90 degrees two-theta), sorted by position:
23.24 deg, I 100.0; 26.89 deg, I 11.4; 40.83 deg, I 20.5; 43.15 deg, I 7.0; 47.49 deg, I 29.1; 49.57 deg, I 10.0; 59.11 deg, I 7.7; 64.39 deg, I 7.6

Cell lengths 4.420, 4.420, 6.633 Å; angles 90.00, 90.00, 120.00 degrees
Atoms (fractional coordinates):
1 Cl 0.000 0.923 0.167
2 Cl 0.077 0.077 0.500
3 Cl 0.923 0.000 0.833

---

(2)
This entry pairs a crystal structure of Cl with its computed X-ray diffraction stick pattern. Radiation: CuKα. Structure: the PBE geometry in Alexandria.

The 8 most intense peaks (10 to 90 degrees two-theta), sorted by position:
22.09 deg, I 100.0; 22.77 deg, I 31.2; 24.65 deg, I 24.5; 26.09 deg, I 22.2; 30.06 deg, I 15.2; 30.68 deg, I 13.8; 32.02 deg, I 12.5; 32.95 deg, I 13.2

Cell lengths 4.442, 4.495, 7.649 Å; angles 80.53, 83.04, 77.95 degrees
Atoms (fractional coordinates):
1 Cl 0.000 0.000 0.000
2 Cl 0.177 0.497 0.499
3 Cl 0.407 0.696 0.282
4 Cl 0.770 0.229 0.791

---

(3)
This entry pairs a crystal structure of Cl with its computed X-ray diffraction stick pattern. Radiation: CuKα. Structure: the PBE geometry in Alexandria.

The 8 most intense peaks (10 to 90 degrees two-theta), sorted by position:
14.95 deg, I 29.2; 17.71 deg, I 100.0; 23.74 deg, I 24.7; 24.21 deg, I 51.2; 29.38 deg, I 13.4; 37.97 deg, I 43.3; 52.23 deg, I 15.0; 53.45 deg, I 14.4

Cell lengths 10.044, 8.220, 7.766 Å; angles 77.80, 53.11, 49.09 degrees
Atoms (fractional coordinates):
1 Cl 0.026 0.724 0.026
2 Cl 0.125 0.125 0.625
3 Cl 0.276 0.974 0.276
4 Cl 0.375 0.375 0.875
5 Cl 0.625 0.625 0.125
6 Cl 0.724 0.026 0.724
7 Cl 0.875 0.875 0.375
8 Cl 0.974 0.276 0.974

---

(4)
____________
Genetic consequences
Another consequence, not as firmly established as thyroid cancer, is mini-satellite instability (MSI) in children born to exposed fathers after Chernobyl. MSI is not a classical genetic effect, and its implications for health are far from clear. A similar effect has been seen in the children and grandchildren of men exposed to weapons testing in Semipalatinsk and a parallel phenomenon, tandem repeat instability, occurs in laboratory mice. MSI has not been observed in the survivors of the atomic bombings in studies of Chernobyl cleanup workers or in radiotherapy patients. MSI is considerably more frequent in relation to radiation dose than classical genetic effects and apparently does not become diluted in subsequent generations. Although its clinical significance is uncertain it is of some concern, certainly more than the Chernobyl Forum gave it credit for.
These issues are particularly relevant in view of developments in radiobiological research over the past 15 years. The apparently simple relationship between radiation dose and its effects are being reappraised. In the early 1990s, two previously unacknowledged effects of radiation were reported, genomic instability and the bystander effect. These effects are not accommodated by the current theoretical framework. Also in 1986, the risk per unit dose accrued from Chernobyl would have been assumed to be half that estimated from the atomic bombs in Japan. A recent detailed analysis of the Japanese experience suggested that the risk for those exposed to the lower doses could even be supralinear. Furthermore, the accuracy of the standard models for inferring doses from internal exposure have been questioned by the U.K. Committee Examining Radiation Risk of Internal Emitters. There is, therefore, considerable uncertainty in translating collective dose to health detriment and fatalities.
Unanswered issues
Birth defects
There have been many claims of an increased incidence of congenital anomalies in children born shortly after the accident. Some cases reported in the press show abnormalities similar to those following the use of thalidomide in pregnancy, and thalidomide was apparently available in the Soviet Union. It is not possible to separate Chernobyl-related abnormalities from those due to other causes or from the effects of increased ascertainment. Although a slight increase in minor conditions has been observed, there does not appear to have been a major increase in serious conditions such as limb deformities.
Intensive efforts have been made to detect an increase in leukemia, which is strongly associated with radiation. No statistically significant increases of those forms associated with radiation have been reported, but increases in chronic lymphatic leukemia, a no-radiation-related disease of older age, may testify to increased case ascertainment. However, the level of increase expected, given the received doses, anticipated risk factor, and the rarity of the condition, would only be detected by large analytical—as opposed to ecological—epidemiology studies.
In the future
Experience from Japan shows that many effects of whole-body radiation exposure may not be apparent for decades. While the short initial latent period associated with the thyroid carcinoma after Chernobyl, together with the very large amounts of radioactive isotopes of iodine released, have led to a huge effort to reconstruct thyroid doses, much less attention has been paid to whole-body doses. Measurements of the initial exposure phase for those in the 30-km zone, while confused, point to absorbed doses to the whole body of many individuals that were > 1 Gray (Gy), with average doses to some 25,000 Belarusian evacuees of a substantial fraction of a Gray. Doses received by infants evacuated from the 30-km zone are estimated to be in the range of 0.03–2 sieverts (Sv), well within the range that led to a significant rise in cancer incidence after the atomic bombs. As well as the thyroid, other organs show some concentration of iodine. One particularly important tissue is breast epithelium, which can concentrate iodine and receive radiation from [[isotope]s] in the lung or thyroid. Some particular groups at exposure may show an excess incidence of breast cancer now or in the future. A significant rise in incidence of a range of malignancies in the population exposed to high levels of fallout, particularly those exposed as children, is clearly possible. All too often the phrase “no increase has been observed” conceals the lack of an adequate study.
The full complexity of the exposure regime has not been adequately explored, and the estimation of whole-body and many tissue-specific doses is imprecise or unknown. The radiation dose received from the atomic bombs was still being revised 50 years after the event. Taking into account the results of new research and the CERRIE report, it is very difficult to derive with any confidence the likely levels of health detriment from the estimated dose levels. It is also too soon to make an accurate assessment of longer-term effects from those already observed.
In the light of this level of uncertainty, the case is compelling for international research surveillance of the millions of people exposed to fallout from Chernobyl and selective follow-up of those exposed to high levels similar to that following the atomic bombings in Japan.
Editor's Note
This article is derived largely from Keith Baverstock and Dillwyn Williams, The Chernobyl Accident 20 Years On: An Assessment of the Health Consequences and the International Response, Environmental Health Perspectives, 114(9):1312:1317 (September 2006) doi:10.1289/ehp.9113. Topic editors and authors for the Encyclopedia of Earth have edited its content or added new information. That article is used here under the terms of its Creative Commons Attribution License. The use of information from the original article should not be construed as support for or endorsement by its author for any new information added by EoE personnel, or for any editing of the original content.
Further Reading
- Baverstock, K., Egloff, B., Pinchera, A., Ruchti, C. and Williams, D., 1992. Thyroid cancer after Chernobyl. Nature, 359(6390):21–22.
- Cardis, E., Krewski, D., Boniol, M., Drozdovitch, V., Darby, S.C., Gilbert, E.S., et al., 2006. Estimates of the cancer burden in Europe from radioactive fallout from the Chernobyl accident. International Journal of Cancer, 119(6):1224–1235. doi 10.1002/ijc.22037.
- CERRIE, 2004. Report of the Committee Examining Radiation Risks of Internal Emitters. London: National Radiological Protection Board.
- IAEA, 1991. International Chernobyl Project: Technical Report: Assessment of Radiological Consequences and Evaluation of Protective Measures. Vienna: International Atomic Energy Agency.
- IAEA, 1996. One Decade after Chernobyl: Summing up the Consequences of the Accident. Vienna: International Atomic Energy Agency.
- UN, 2002. The Human Consequences of the Chernobyl Nuclear Accident: A Strategy for Recovery. New York: United Nations.
- UNSCEAR. 1988. Annex D: Exposures from the Chernobyl accident. In: Sources and Effects of Ionising Radiation; United Nations Scientific Committee on the Effects of Atomic Radiation 1988 Report to the General Assembly, with Annexes. New York: United Nations.
- UNSCEAR, 2000. Annex J: Exposures and effects of the Chernobyl accident. In: Sources and Effects of Ionising Radiation; United Nations Scientific Committee on the Effects of Atomic Radiation 2000 Report to the General Assembly, with Scientific Annexes, Volume II: Effects. New York: United Nations, 451–566.
- Westermann, A., van den Brink, W., et al., 1997. Health effects of the Chernobyl disaster: illness or illness behavior? A comparative general health survey in two former Soviet regions. Environmental Health Perspectives, 105(6):1533–1537.
- WHO, 1995. Health Consequences of the Chernobyl Accident. Results of the IPHECA Pilot Projects and Related National Programmes. Summary Report. Geneva: World Health Organization. ISBN: 9241561815
- WHO, 2005a. Health Effects of the Chernobyl Accident and Special Health Care Programmes.
- WHO, 2005b. Chernobyl: The True Scale of the Accident; 20 Years Later a UN Report Provides Definitive Answers and Ways to Repair Lives [Press Release].